
What’s up at CIVL in April 2015?

[Attached: quantum chemistry results]
=====
# 1
{
  "formula": "C13H16FNO2",
  "method": "the ωB97M-V functional and the def2-TZVPD basis",
  "e_lumo_ev": 0.49,
  "spin_multiplicity": 1,
  "smiles": "CC1(C)CC(=O)C(F)C(=O)C1.c1ccncc1",
  "orbital_gap_ev": 10.0,
  "species": ["C", "C", "C", "C", "C", "N", "O", "C", "H", "H", "H", "H", "H", "C", "H", "H", "O", "C", "C", "C", "H", "H", "H", "H", "H", "C", "H", "F", "H", "H", "C", "C", "H"],
  "positions_angstrom": [[0.427619, -5.580364, 0.242009], [0.751435, 1.714336, 1.363122], [0.099410, -6.039288, -1.031139], [-0.260589, 2.055990, -0.955103], [-1.640938, 2.297812, -0.372364], [-0.585246, -3.503853, -0.306421], [-2.559629, 2.649276, -1.081547], [0.051321, -4.261279, 0.582999], [0.222660, 4.613078, -0.373978], [-0.690222, 3.841915, 0.908027], [-0.809292, -5.517347, -2.952575], [1.633700, 2.051638, 1.934873], [2.515128, 1.554546, -0.872530], [0.317099, 3.940927, 0.480121], [2.925744, 2.956607, 0.164171], [-0.173406, 0.989346, -1.268747], [-0.621851, 2.079626, 3.274613], [-0.890456, -3.913410, -1.530438], [-0.560419, 1.969948, 2.070241], [-1.799795, 2.049755, 1.149404], [0.954015, -6.166773, 0.985497], [0.288212, -3.842594, 1.580421], [0.951224, 4.357695, 1.263455], [0.362129, -7.047618, -1.312840], [-0.059171, 2.638789, -1.875592], [2.202772, 2.564674, -0.565630], [2.201911, 3.216992, -1.451619], [-2.451181, 0.862553, 1.261299], [-1.404665, -3.212523, -2.222456], [-2.519110, 2.734171, 1.557060], [0.796349, 2.547293, 0.059453], [-0.551874, -5.217511, -1.945862], [0.877114, 0.615595, 1.242076]],
  "forces_ev_per_a": [[-0.39, 1.19, 0.27], [0.82, -0.11, -0.41], [0.09, -0.08, 0.01], [0.76, -0.11, -0.28], [0.31, 0.20, -1.42], [-0.25, 1.39, 0.53], [0.28, -0.30, 1.21], [0.16, -1.14, -0.86], [0.19, 0.10, 0.07], [0.37, 0.61, -0.06], [0.09, -0.27, 0.06], [-0.67, -0.20, 0.39], [-0.09, 0.30, 0.11], [0.09, 0.05, -0.05], [-0.10, -0.10, -0.25], [0.09, 0.50, 0.53], [-0.66, 0.01, -0.93], [0.44, -1.11, -0.10], [1.10, -0.15, 0.53], [-0.68, 0.30, 0.18], [-0.05, -0.22, -0.24], [-0.28, -0.16, -0.76], [0.06, 0.17, -0.13], [0.05, -0.12, -0.06], [-0.79, -0.20, 0.31], [-0.39, 0.03, 0.20], [0.09, -0.18, 0.23], [-0.33, -1.78, -0.02], [0.39, -0.46, 0.70], [-0.05, 1.03, 0.17], [-0.27, -0.76, -0.07], [-0.24, 1.01, 0.45], [-0.16, 0.55, -0.30]],
  "nbo_charge": [-0.251, -0.531, -0.184, -0.529, 0.577, -0.437, -0.496, 0.037, 0.226, 0.200, 0.219, 0.235, 0.218, -0.613, 0.213, 0.248, -0.495, 0.038, 0.577, -0.008, 0.219, 0.198, 0.226, 0.217, 0.235, -0.603, 0.214, -0.328, 0.197, 0.205, -0.022, -0.251, 0.248]
}

***

# 2
{
  "formula": "C13H16IN5O",
  "method": "the ωB97M-V functional and the def2-TZVPD basis",
  "e_lumo_ev": -1.00,
  "spin_multiplicity": 1,
  "smiles": "CC[C@H](I)c1nnc(-c2ccccc2)nn1.CC(N)=O",
  "orbital_gap_ev": 8.2,
  "species": ["C", "H", "C", "C", "N", "N", "I", "C", "H", "C", "C", "H", "H", "H", "H", "H", "C", "H", "H", "C", "C", "H", "C", "C", "O", "N", "H", "H", "H", "N", "C", "H", "C", "N", "H", "H"],
=====
[The page goes on]


The minutes of the Plenary plus annexes have been published and so are the minutes of the pre- and post-plenary Bureau meetings. See on CIVL web site the Document / Meeting chapter.

Since the plenary, the Bureau has taken the following decisions:


  • Claudia Mejia de la Pava is appointed Competition Coordinator.
  • Raymond Caux and Dennis Pagen are appointed Safety Officers.
  • Jamie Shelden is appointed Jury and Steward Officer.


The local regulations for the 8th FAI World Paragliding Accuracy Championship in Puncak, Indonesia, have been approved and published.

There will be no formal practice event for the 2nd FAI World Paragliding Aerobatic championships in Doussard, France. Instead, the 2015 French National will be open to foreigners and will be monitored closely by CIVL.

Hang gliding Class 5: a World championship will take part in Krushevo, FYR Macedonia, from July 16 to 30, 2016, at the same time and on the same site as the European Class 1 championship. The practice event will take place on August 16 to 23, 2015, and is open to Class 1 and 5.

Hang gliding Class 1 Women: a specific women's World championship will be organized along the "overall" World Class 1 Championship in Brasilia, Brazil, from August 6 to 19, 2017. The practice event will take place from August 27 to September 3, 2016. Please notice that the dates for the practice event have been changed, due to conflict with the Olympic Games.

Bids for championships

The following 2018 events are open for bidding. The bidding deadline is December 1st, 2015 (per Bureau decision, instead of mid October as per Section 7).

  • European HG (Class 1) Championship.
  • World HG (Class 1 Women) Championship.
  • World HG (Class 2) Championship.
  • World HG (Class 5) Championship.
  • European PG Championship.
  • Asian or Oceanian PG Championship.
  • Pan-American PG Championship.
  • European PG Accuracy Championship.
  • Asian or Oceanian PG Accuracy Championship.

Bidding information are found on CIVL website in the Event / Organising Event chapter.

World Air Games

WAG are not an usual Category 1 event. In each discipline pilots are few and must be selected according to WAG request. Paragliding Aerobatic and Accuracy pilots selections were done according to the organisers’ demand (top pilots and a maximum of countries) in agreement with the appropriate committees.


On January 1st, 2015, we were not ready for the implementation of the new GAP rule requesting to switch distance measurements from FAI sphere to WGS84 ellipsoid. The Bureau decided to postpone this implementation until further notice.

Live Tracking was allowed as the primary source of information for scoring the Valle de Bravo Hang gliding World championship.

CIVL Competition Class paragliders

Controlling gliders is an important part of the CCC implementation. CIVL has agreed to work with PWCA to identify problems, standardize as much as possible and build up a proper  database of gliders already checked.

For each CCC model, measurement files in .xlsx format will be published on CIVL web site.  A handbook and a video are under completion so procedures are understood by all. Manufacturers, testing laboratories, competition organisers and pilots alike should then be able to measure their gliders with a high degree of reliability.


(Photo Flavio Tebaldi - Valle de Bravo 2015 FAI World championship)